**Work order:**
It remains to start at the top of the data below and echo each line, ending with the one that has "80.33, 21".
**Entries:**
........
Structure and theoretical X-ray powder pattern of BaLaCo2O5 (a structure optimized by DFT (PBE+U); Cu Kα).
Lines closer than 0.1° are merged.

Crystal structure
Lattice parameters (Å, degrees): 3.924 4.034 7.852 90.00 90.00 90.00
Space group Pmmm (No. 47)
One atom of each set of equivalent atoms:
Ba1 0.000 0.000 0.000 [1 per cell]
La1 0.000 0.000 0.500 [1 per cell]
Co1 0.500 0.500 0.253 [2 per cell]
O1 0.000 0.500 0.305 [2 per cell]
O2 0.500 0.000 0.300 [2 per cell]
O3 0.500 0.500 0.000 [1 per cell]

Main lines, by angle (5° ≤ 2θ ≤ 70°):
| two_theta | I/Imax | h k l |
| --- | --- | --- |
| 31.81 | 100 | 0 1 2 |
| 32.25 | 53 | 1 0 2 |
| 39.41 | 19 | 1 1 2 |
| 46.26 | 27 | 2 0 0 |
| 56.40 | 21 | 1 2 2 |
| 57.23 | 42 | 1 1 4 |

***

Structure and theoretical X-ray powder pattern of BaLa4Co5O15 (a structure optimized by DFT (PBE+U); Cu Kα).
Lines closer than 0.1° are merged.

Crystal structure
Lattice parameters (Å, degrees): 18.328 5.572 13.493 90.00 118.69 90.00
Space group C2/c (No. 15)
One atom of each set of equivalent atoms:
Ba1 0.000 0.001 0.250 [4 per cell]
La1 0.102 0.500 0.149 [8 per cell]
La2 0.202 0.005 0.053 [8 per cell]
Co1 0.000 0.000 0.000 [4 per cell]
Co2 0.101 0.499 0.900 [8 per cell]
Co3 0.200 0.003 0.300 [8 per cell]
O1 0.000 0.471 0.750 [4 per cell]
O2 0.037 0.251 0.445 [8 per cell]
O3 0.068 0.263 0.971 [8 per cell]
O4 0.107 0.063 0.653 [8 per cell]
O5 0.145 0.273 0.342 [8 per cell]
O6 0.169 0.246 0.874 [8 per cell]
O7 0.202 0.435 0.557 [8 per cell]
O8 0.234 0.248 0.229 [8 per cell]

Main lines, by angle (5° ≤ 2θ ≤ 70°):
| two_theta | I/Imax | h k l |
| --- | --- | --- |
| 32.14 | 100 | 5 1 0 |
| 32.29 | 67 | 1 1 -4 |
| 32.58 | 32 | 6 0 -4 |
| 46.00 | 20 | 4 0 4 |
| 46.41 | 41 | 6 2 -4 |
| 57.26 | 34 | 10 0 0 |

***

Structure and theoretical X-ray powder pattern of BaLa2Co3O9 (a structure optimized by DFT (PBE+U); Cu Kα).
Lines closer than 0.1° are merged.

Crystal structure
Lattice parameters (Å, degrees): 5.5221 5.5221 6.7010 90.00 90.00 120.00
Space group P-3m1 (No. 164)
One atom of each set of equivalent atoms:
Ba1 0.0000 0.0000 0.0000 [1 per cell]
La1 0.3333 0.6667 0.6652 [2 per cell]
Co1 0.0000 0.0000 0.5000 [1 per cell]
Co2 0.3333 0.6667 0.1647 [2 per cell]
O1 0.0000 0.5000 0.0000 [3 per cell]
O2 0.1718 0.3435 0.3456 [6 per cell]

Main lines, by angle (5° ≤ 2θ ≤ 70°):
| two_theta | I/Imax | h k l |
| --- | --- | --- |
| 22.85 | 22 | 1 0 1 |
| 32.43 | 100 | 1 1 0 |
| 32.63 | 98 | 0 1 2 |
| 40.04 | 25 | 0 2 1 |
| 46.67 | 64 | 2 0 2 |
| 57.97 | 38 | 1 2 2 |

=====

# CsRb4Zn3F12
Computed PXRD pattern, Cu Kα (weighted mean of Kα1 and Kα2). Input: a PBE-relaxed structure.
Neutral-atom scattering factors, no anomalous dispersion.

Main lines, sorted by position (2θ from 15° to 90°):
Position (°2θ), I/Imax
28.22, 100
34.74, 5
37.63, 3
40.33, 40
49.95, 38
58.36, 24
66.06, 19
73.33, 7
80.33, 21
87.18, 3

Atomic structure:
a = 7.746 Å, b = 7.746 Å, c = 7.746 Å
α = 109.47°, β = 109.47°, γ = 109.47°
Fractional positions:
Cs 0.000 0.000 0.000
Rb 0.000 0.000 0.500
Rb 0.000 0.500 0.000
Rb 0.500 0.000 0.000
Rb 0.500 0.500 0.500
Zn 0.000 0.500 0.500
Zn 0.500 0.000 0.500
Zn 0.500 0.500 0.000
F 0.000 0.292 0.292
F 0.000 0.708 0.708
F 0.250 0.500 0.750
F 0.250 0.750 0.500
F 0.292 0.000 0.292
F 0.292 0.292 0.000
F 0.500 0.250 0.750
F 0.500 0.750 0.250
F 0.708 0.000 0.708
F 0.708 0.708 0.000
F 0.750 0.250 0.500
F 0.750 0.500 0.250

=====

Record 1
# Sr2AcSnO6
Computed PXRD pattern, CuKα. Input: a DFT-relaxed cell (GGA-PBE, Alexandria).

Structural model:
```
Sr2AcSnO6
1.0
6.062 0.000 0.000
0.000 6.251 0.000
-5.993 0.000 8.627
Sr Ac Sn O
4 2 2 12
Direct
0.236 0.048 0.254
0.236 0.452 0.754
0.764 0.548 0.246
0.764 0.952 0.746
0.500 0.000 0.000
0.500 0.500 0.500
0.000 0.000 0.500
0.000 0.500 0.000
0.112 0.227 0.931
0.112 0.273 0.431
0.225 0.687 0.947
0.225 0.813 0.447
0.343 0.057 0.728
0.343 0.443 0.228
0.657 0.557 0.772
0.657 0.943 0.272
0.775 0.187 0.553
0.775 0.313 0.053
0.888 0.727 0.569
0.888 0.773 0.069
```
........
**Written answer:**
Structure and theoretical X-ray powder pattern of BaLaCo2O5 (a structure optimized by DFT (PBE+U); Cu Kα).
Lines closer than 0.1° are merged.

Crystal structure
Lattice parameters (Å, degrees): 3.924 4.034 7.852 90.00 90.00 90.00
Space group Pmmm (No. 47)
One atom of each set of equivalent atoms:
Ba1 0.000 0.000 0.000 [1 per cell]
La1 0.000 0.000 0.500 [1 per cell]
Co1 0.500 0.500 0.253 [2 per cell]
O1 0.000 0.500 0.305 [2 per cell]
O2 0.500 0.000 0.300 [2 per cell]
O3 0.500 0.500 0.000 [1 per cell]

Main lines, by angle (5° ≤ 2θ ≤ 70°):
| two_theta | I/Imax | h k l |
| --- | --- | --- |
| 31.81 | 100 | 0 1 2 |
| 32.25 | 53 | 1 0 2 |
| 39.41 | 19 | 1 1 2 |
| 46.26 | 27 | 2 0 0 |
| 56.40 | 21 | 1 2 2 |
| 57.23 | 42 | 1 1 4 |

***

Structure and theoretical X-ray powder pattern of BaLa4Co5O15 (a structure optimized by DFT (PBE+U); Cu Kα).
Lines closer than 0.1° are merged.

Crystal structure
Lattice parameters (Å, degrees): 18.328 5.572 13.493 90.00 118.69 90.00
Space group C2/c (No. 15)
One atom of each set of equivalent atoms:
Ba1 0.000 0.001 0.250 [4 per cell]
La1 0.102 0.500 0.149 [8 per cell]
La2 0.202 0.005 0.053 [8 per cell]
Co1 0.000 0.000 0.000 [4 per cell]
Co2 0.101 0.499 0.900 [8 per cell]
Co3 0.200 0.003 0.300 [8 per cell]
O1 0.000 0.471 0.750 [4 per cell]
O2 0.037 0.251 0.445 [8 per cell]
O3 0.068 0.263 0.971 [8 per cell]
O4 0.107 0.063 0.653 [8 per cell]
O5 0.145 0.273 0.342 [8 per cell]
O6 0.169 0.246 0.874 [8 per cell]
O7 0.202 0.435 0.557 [8 per cell]
O8 0.234 0.248 0.229 [8 per cell]

Main lines, by angle (5° ≤ 2θ ≤ 70°):
| two_theta | I/Imax | h k l |
| --- | --- | --- |
| 32.14 | 100 | 5 1 0 |
| 32.29 | 67 | 1 1 -4 |
| 32.58 | 32 | 6 0 -4 |
| 46.00 | 20 | 4 0 4 |
| 46.41 | 41 | 6 2 -4 |
| 57.26 | 34 | 10 0 0 |

***

Structure and theoretical X-ray powder pattern of BaLa2Co3O9 (a structure optimized by DFT (PBE+U); Cu Kα).
Lines closer than 0.1° are merged.

Crystal structure
Lattice parameters (Å, degrees): 5.5221 5.5221 6.7010 90.00 90.00 120.00
Space group P-3m1 (No. 164)
One atom of each set of equivalent atoms:
Ba1 0.0000 0.0000 0.0000 [1 per cell]
La1 0.3333 0.6667 0.6652 [2 per cell]
Co1 0.0000 0.0000 0.5000 [1 per cell]
Co2 0.3333 0.6667 0.1647 [2 per cell]
O1 0.0000 0.5000 0.0000 [3 per cell]
O2 0.1718 0.3435 0.3456 [6 per cell]

Main lines, by angle (5° ≤ 2θ ≤ 70°):
| two_theta | I/Imax | h k l |
| --- | --- | --- |
| 22.85 | 22 | 1 0 1 |
| 32.43 | 100 | 1 1 0 |
| 32.63 | 98 | 0 1 2 |
| 40.04 | 25 | 0 2 1 |
| 46.67 | 64 | 2 0 2 |
| 57.97 | 38 | 1 2 2 |

=====

# CsRb4Zn3F12
Computed PXRD pattern, Cu Kα (weighted mean of Kα1 and Kα2). Input: a PBE-relaxed structure.
Neutral-atom scattering factors, no anomalous dispersion.

Main lines, sorted by position (2θ from 15° to 90°):
Position (°2θ), I/Imax
28.22, 100
34.74, 5
37.63, 3
40.33, 40
49.95, 38
58.36, 24
66.06, 19
73.33, 7
80.33, 21